Please quote the lines underneath from the one with "35.7°, rel." to the one with "0.933 [8" without altering anything.

~~~
Entry 1:
Structure and theoretical powder diffractogram of Al2PS6 (a crystal structure in Alexandria, relaxed with GGA-PBE; a wavelength of 1.5418 Å).

Most intense lines, 10 to 90 degrees two-theta, by angle:
2θ = 22.4°, rel. 67.4, hkl 1 1 0
2θ = 34.4°, rel. 100.0, hkl 1 1 3
2θ = 35.7°, rel. 44.1, hkl 2 1 0
2θ = 44.6°, rel. 56.6, hkl 2 1 3
2θ = 45.6°, rel. 27.0, hkl 2 2 0
2θ = 53.0°, rel. 16.9, hkl 0 0 6
2θ = 55.8°, rel. 48.6, hkl 3 0 3
2θ = 65.5°, rel. 12.3, hkl 2 1 6
2θ = 68.9°, rel. 12.2, hkl 4 1 0
2θ = 72.5°, rel. 12.8, hkl 2 2 6

Structure:
a = 5.622 Å, b = 5.622 Å, c = 10.373 Å
α = 90.00°, β = 90.00°, γ = 90.00°
Space group P4_2/mnm (No. 136)
One atom of each set of equivalent atoms:
Al1 0.000 0.000 0.166 [4 per cell]
P1 0.000 0.000 0.500 [2 per cell]
S1 0.188 0.188 0.339 [8 per cell]
S2 0.201 0.201 0.000 [4 per cell]

***

Entry 2:
Structure and theoretical powder diffractogram of NaHfReO6 (a crystal structure in Alexandria, relaxed with GGA-PBE; a wavelength of 1.5418 Å).

Most intense lines, 10 to 90 degrees two-theta, by angle:
2θ = 17.2°, rel. 100.0, hkl 0 0 1
2θ = 19.2°, rel. 52.0, hkl 1 0 0
2θ = 25.9°, rel. 75.5, hkl 0 1 1
2θ = 33.6°, rel. 50.5, hkl 1 1 0
2θ = 37.9°, rel. 70.2, hkl 2 -1 1
2θ = 42.9°, rel. 17.4, hkl 2 0 1
2θ = 49.1°, rel. 54.2, hkl 2 -1 2
2θ = 55.5°, rel. 18.1, hkl 3 -2 1
2θ = 62.9°, rel. 18.2, hkl 3 0 1
2θ = 64.4°, rel. 25.2, hkl 1 1 3

Structure:
a = 5.3378 Å, b = 5.3378 Å, c = 5.1700 Å
α = 90.00°, β = 90.00°, γ = 120.00°
Space group P3 (No. 143)
One atom of each set of equivalent atoms:
Na1 0.0000 0.0000 0.0000 [1 per cell]
Hf1 0.3333 0.6667 0.4981 [1 per cell]
Re1 0.6667 0.3333 0.5007 [1 per cell]
O1 0.3901 0.0245 0.7084 [3 per cell]
O2 0.3901 0.3652 0.2910 [3 per cell]

***

Entry 3:
Structure and theoretical powder diffractogram of PmP2BrO6 (a crystal structure in Alexandria, relaxed with GGA-PBE; a wavelength of 1.5418 Å).

Most intense lines, 10 to 90 degrees two-theta, by angle:
2θ = 10.5°, rel. 57.9, hkl 1 1 0
2θ = 15.2°, rel. 58.4, hkl 2 0 0
2θ = 19.8°, rel. 79.4, hkl 1 1 -1
2θ = 21.0°, rel. 100.0, hkl 2 2 0
2θ = 24.0°, rel. 53.5, hkl 3 1 0
2θ = 28.6°, rel. 43.0, hkl 1 3 -1
2θ = 30.6°, rel. 41.3, hkl 4 0 0
2θ = 31.1°, rel. 83.2, hkl 1 3 1
2θ = 33.9°, rel. 38.9, hkl 3 3 -1
2θ = 40.2°, rel. 45.5, hkl 2 4 1

Structure:
a = 12.068 Å, b = 12.258 Å, c = 4.882 Å
α = 90.00°, β = 104.67°, γ = 90.00°
Space group C2/c (No. 15)
One atom of each set of equivalent atoms:
Pm1 0.000 0.218 0.250 [4 per cell]
P1 0.208 0.422 0.625 [8 per cell]
Br1 0.000 0.102 0.750 [4 per cell]
O1 0.097 0.363 0.517 [8 per cell]
O2 0.184 0.141 0.346 [8 per cell]
O3 0.208 0.471 0.933 [8 per cell]

***

Entry 4:
Structure and theoretical powder diffractogram of HfZnCuIr (a crystal structure in Alexandria, relaxed with GGA-PBE; a wavelength of 1.5418 Å).

Most intense lines, 10 to 90 degrees two-theta, by angle:
2θ = 25.0°, rel. 32.1, hkl 1 0 1
2θ = 39.6°, rel. 100.0, hkl 1 1 2
2θ = 44.7°, rel. 35.4, hkl 2 0 0
2θ = 48.6°, rel. 13.8, hkl 0 0 4
2θ = 51.9°, rel. 9.5, hkl 2 1 1
2θ = 65.0°, rel. 11.4, hkl 2 2 0
2θ = 68.2°, rel. 19.8, hkl 2 0 4
2θ = 78.9°, rel. 26.2, hkl 3 1 2
2θ = 84.7°, rel. 11.1, hkl 1 1 6
2θ = 85.2°, rel. 10.9, hkl 2 2 4

Structure:
a = 4.057 Å, b = 4.057 Å, c = 7.490 Å
α = 90.00°, β = 90.00°, γ = 90.00°
Space group I-4m2 (No. 119)
One atom of each set of equivalent atoms:
Hf1 0.000 0.000 0.000 [2 per cell]
Zn1 0.000 0.000 0.500 [2 per cell]
Cu1 0.000 0.500 0.750 [2 per cell]
Ir1 0.000 0.500 0.250 [2 per cell]

***

Entry 5:
Structure and theoretical powder diffractogram of PmNiH6Pt (a crystal structure in Alexandria, relaxed with GGA-PBE; a wavelength of 1.5418 Å).

Most intense lines, 10 to 90 degrees two-theta, by angle:
2θ = 22.2°, rel. 14.7, hkl 1 0 0
2θ = 30.6°, rel. 100.0, hkl 1 0 1
2θ = 38.9°, rel. 48.1, hkl 1 1 0
2θ = 42.3°, rel. 12.4, hkl 0 0 2
2θ = 50.3°, rel. 25.3, hkl 2 0 1
2θ = 58.9°, rel. 29.2, hkl 1 1 2
2θ = 65.4°, rel. 23.0, hkl 2 1 1
2θ = 70.2°, rel. 9.4, hkl 1 0 3
~~~

2θ = 35.7°, rel. 44.1, hkl 2 1 0
2θ = 44.6°, rel. 56.6, hkl 2 1 3
2θ = 45.6°, rel. 27.0, hkl 2 2 0
2θ = 53.0°, rel. 16.9, hkl 0 0 6
2θ = 55.8°, rel. 48.6, hkl 3 0 3
2θ = 65.5°, rel. 12.3, hkl 2 1 6
2θ = 68.9°, rel. 12.2, hkl 4 1 0
2θ = 72.5°, rel. 12.8, hkl 2 2 6

Structure:
a = 5.622 Å, b = 5.622 Å, c = 10.373 Å
α = 90.00°, β = 90.00°, γ = 90.00°
Space group P4_2/mnm (No. 136)
One atom of each set of equivalent atoms:
Al1 0.000 0.000 0.166 [4 per cell]
P1 0.000 0.000 0.500 [2 per cell]
S1 0.188 0.188 0.339 [8 per cell]
S2 0.201 0.201 0.000 [4 per cell]

***

Entry 2:
Structure and theoretical powder diffractogram of NaHfReO6 (a crystal structure in Alexandria, relaxed with GGA-PBE; a wavelength of 1.5418 Å).

Most intense lines, 10 to 90 degrees two-theta, by angle:
2θ = 17.2°, rel. 100.0, hkl 0 0 1
2θ = 19.2°, rel. 52.0, hkl 1 0 0
2θ = 25.9°, rel. 75.5, hkl 0 1 1
2θ = 33.6°, rel. 50.5, hkl 1 1 0
2θ = 37.9°, rel. 70.2, hkl 2 -1 1
2θ = 42.9°, rel. 17.4, hkl 2 0 1
2θ = 49.1°, rel. 54.2, hkl 2 -1 2
2θ = 55.5°, rel. 18.1, hkl 3 -2 1
2θ = 62.9°, rel. 18.2, hkl 3 0 1
2θ = 64.4°, rel. 25.2, hkl 1 1 3

Structure:
a = 5.3378 Å, b = 5.3378 Å, c = 5.1700 Å
α = 90.00°, β = 90.00°, γ = 120.00°
Space group P3 (No. 143)
One atom of each set of equivalent atoms:
Na1 0.0000 0.0000 0.0000 [1 per cell]
Hf1 0.3333 0.6667 0.4981 [1 per cell]
Re1 0.6667 0.3333 0.5007 [1 per cell]
O1 0.3901 0.0245 0.7084 [3 per cell]
O2 0.3901 0.3652 0.2910 [3 per cell]

***

Entry 3:
Structure and theoretical powder diffractogram of PmP2BrO6 (a crystal structure in Alexandria, relaxed with GGA-PBE; a wavelength of 1.5418 Å).

Most intense lines, 10 to 90 degrees two-theta, by angle:
2θ = 10.5°, rel. 57.9, hkl 1 1 0
2θ = 15.2°, rel. 58.4, hkl 2 0 0
2θ = 19.8°, rel. 79.4, hkl 1 1 -1
2θ = 21.0°, rel. 100.0, hkl 2 2 0
2θ = 24.0°, rel. 53.5, hkl 3 1 0
2θ = 28.6°, rel. 43.0, hkl 1 3 -1
2θ = 30.6°, rel. 41.3, hkl 4 0 0
2θ = 31.1°, rel. 83.2, hkl 1 3 1
2θ = 33.9°, rel. 38.9, hkl 3 3 -1
2θ = 40.2°, rel. 45.5, hkl 2 4 1

Structure:
a = 12.068 Å, b = 12.258 Å, c = 4.882 Å
α = 90.00°, β = 104.67°, γ = 90.00°
Space group C2/c (No. 15)
One atom of each set of equivalent atoms:
Pm1 0.000 0.218 0.250 [4 per cell]
P1 0.208 0.422 0.625 [8 per cell]
Br1 0.000 0.102 0.750 [4 per cell]
O1 0.097 0.363 0.517 [8 per cell]
O2 0.184 0.141 0.346 [8 per cell]
O3 0.208 0.471 0.933 [8 per cell]